-- Source --
/*
The following is a DFT calculation (GGA-PBEsol) of an optimized crystal structure of Li2As2Pb.

* E above lowest polymorph: 27 meV/atom
* ΔH_f (0 K): -0.33 eV/atom
* symmetry: P4/mbm

POSCAR file:
```
Li2As2Pb
1.0
2.912 0.000 0.000
0.000 8.129 0.000
0.000 0.000 8.129
Pb As Li
2 4 4
Direct
0.000 0.000 0.000 Pb
0.000 0.500 0.500 Pb
0.000 0.329 0.829 As
0.000 0.829 0.671 As
0.000 0.671 0.171 As
0.000 0.171 0.329 As
0.500 0.123 0.623 Li
0.500 0.623 0.877 Li
0.500 0.877 0.377 Li
0.500 0.377 0.123 Li
```

=====

The following is a DFT calculation (GGA-PBEsol) of an optimized crystal structure of LiAs2Pb.

* ΔH_f (0 K): -0.08 eV/atom
* symmetry: R3m

POSCAR file:
```
LiAs2Pb
1.0
3.603 0.000 0.000
1.802 3.121 0.000
1.802 1.040 7.861
As Li Pb
2 1 1
Direct
0.016 0.016 0.951 As
0.744 0.744 0.767 As
0.488 0.488 0.536 Li
0.251 0.251 0.246 Pb
```

=====

The following is a DFT calculation (GGA-PBEsol) of an optimized crystal structure of Li2As2Pb.

* E above lowest polymorph: 0 meV/atom
* ΔH_f (0 K): -0.35 eV/atom
* symmetry: I4/mmm

POSCAR file:
```
Li2As2Pb
1.0
-3.156 -2.920 0.300
2.754 -3.097 -1.182
1.443 2.185 5.492
Pb As Li
1 2 2
Direct
0.000 0.000 0.000 Pb
0.384 0.384 0.768 As
0.616 0.616 0.232 As
0.250 0.750 0.500 Li
0.750 0.250 0.500 Li
```

=====

The following is a DFT calculation (GGA-PBEsol) of an optimized crystal structure of LiAs2Pb.

* ΔH_f (0 K): 0.01 eV/atom
* symmetry: I-4m2

POSCAR file:
```
LiAs2Pb
1.0
-2.330 -3.373 1.461
-1.190 -0.945 -4.078
5.310 -0.478 0.884
As Li Pb
2 1 1
Direct
0.000 0.000 0.000 As
0.750 0.250 0.500 As
0.500 0.500 0.000 Li
0.250 0.750 0.500 Pb
```

=====

The following is a DFT calculation (GGA-PBEsol) of an optimized crystal structure of LiAs2Pb.

* ΔH_f (0 K): -0.17 eV/atom
* symmetry: P4/mmm

POSCAR file:
```
LiAs2Pb
1.0
3.773 0.000 0.000
0.000 3.773 0.000
0.000 0.000 5.959
Pb As Li
1 2 1
Direct
0.500 0.500 0.500 Pb
0.000 0.000 0.800 As
0.000 0.000 0.200 As
0.500 0.500 0.000 Li
```

=====

The following is a DFT calculation (GGA-PBEsol) of an optimized crystal structure of Li2As2Pd.

* ΔH_f (0 K): -0.58 eV/atom
* symmetry: P4/mbm

POSCAR file:
```
Li2As2Pd
1.0
4.131 0.000 0.000
0.000 6.327 0.000
0.000 0.000 6.327
As Pd Li
4 2 4
Direct
0.000 0.362 0.862 As
0.000 0.862 0.638 As
0.000 0.638 0.138 As
0.000 0.138 0.362 As
0.000 0.000 0.000 Pd
0.000 0.500 0.500 Pd
0.500 0.168 0.668 Li
0.500 0.668 0.832 Li
0.500 0.832 0.332 Li
0.500 0.332 0.168 Li
```

=====

The following is a DFT calculation (GGA-PBEsol) of an optimized crystal structure of Li2AsPt.

* ΔH_f (0 K): -0.58 eV/atom
* symmetry: I4/mmm

POSCAR file:
```
Li2AsPt
1.0
3.722 0.000 0.000
0.000 3.722 0.000
-1.861 -1.861 3.984
As Pt Li
1 1 2
Direct
0.500 0.500 0.000 As
0.000 0.000 0.000 Pt
0.750 0.250 0.500 Li
0.250 0.750 0.500 Li
```

=====

The following is a DFT calculation (GGA-PBEsol) of an optimized crystal structure of Li2AsPt.

* ΔH_f (0 K): -0.56 eV/atom
* symmetry: Pmmm

POSCAR file:
```
Li2AsPt
1.0
2.768 0.000 0.000
0.000 3.894 0.000
0.000 0.000 5.161
As Pt Li
1 1 2
Direct
0.500 0.500 0.500 As
0.500 0.500 0.000 Pt
0.000 0.000 0.753 Li
0.000 0.000 0.247 Li
```

=====

The following is a DFT calculation (GGA-PBEsol) of an optimized crystal structure of Li2AsPt.

* ΔH_f (0 K): -0.54 eV/atom
* symmetry: Pmm2

POSCAR file:
```
Li2AsPt
1.0
-2.788 0.154 0.108
0.119 -0.852 4.287
0.283 4.582 0.903
As Pt Li
1 1 2
Direct
0.375 0.500 0.751 As
0.375 0.000 0.493 Pt
0.874 0.000 0.980 Li
0.876 0.500 0.277 Li
```

=====

The following is a DFT calculation (GGA-PBEsol) of an optimized crystal structure of LiAsPt.
*/

-- What to do --
Could you retype the listing further up without additions?

-- Solution --
The following is a DFT calculation (GGA-PBEsol) of an optimized crystal structure of Li2As2Pb.

* E above lowest polymorph: 27 meV/atom
* ΔH_f (0 K): -0.33 eV/atom
* symmetry: P4/mbm

POSCAR file:
```
Li2As2Pb
1.0
2.912 0.000 0.000
0.000 8.129 0.000
0.000 0.000 8.129
Pb As Li
2 4 4
Direct
0.000 0.000 0.000 Pb
0.000 0.500 0.500 Pb
0.000 0.329 0.829 As
0.000 0.829 0.671 As
0.000 0.671 0.171 As
0.000 0.171 0.329 As
0.500 0.123 0.623 Li
0.500 0.623 0.877 Li
0.500 0.877 0.377 Li
0.500 0.377 0.123 Li
```

=====

The following is a DFT calculation (GGA-PBEsol) of an optimized crystal structure of LiAs2Pb.

* ΔH_f (0 K): -0.08 eV/atom
* symmetry: R3m

POSCAR file:
```
LiAs2Pb
1.0
3.603 0.000 0.000
1.802 3.121 0.000
1.802 1.040 7.861
As Li Pb
2 1 1
Direct
0.016 0.016 0.951 As
0.744 0.744 0.767 As
0.488 0.488 0.536 Li
0.251 0.251 0.246 Pb
```

=====

The following is a DFT calculation (GGA-PBEsol) of an optimized crystal structure of Li2As2Pb.

* E above lowest polymorph: 0 meV/atom
* ΔH_f (0 K): -0.35 eV/atom
* symmetry: I4/mmm

POSCAR file:
```
Li2As2Pb
1.0
-3.156 -2.920 0.300
2.754 -3.097 -1.182
1.443 2.185 5.492
Pb As Li
1 2 2
Direct
0.000 0.000 0.000 Pb
0.384 0.384 0.768 As
0.616 0.616 0.232 As
0.250 0.750 0.500 Li
0.750 0.250 0.500 Li
```

=====

The following is a DFT calculation (GGA-PBEsol) of an optimized crystal structure of LiAs2Pb.

* ΔH_f (0 K): 0.01 eV/atom
* symmetry: I-4m2

POSCAR file:
```
LiAs2Pb
1.0
-2.330 -3.373 1.461
-1.190 -0.945 -4.078
5.310 -0.478 0.884
As Li Pb
2 1 1
Direct
0.000 0.000 0.000 As
0.750 0.250 0.500 As
0.500 0.500 0.000 Li
0.250 0.750 0.500 Pb
```

=====

The following is a DFT calculation (GGA-PBEsol) of an optimized crystal structure of LiAs2Pb.

* ΔH_f (0 K): -0.17 eV/atom
* symmetry: P4/mmm

POSCAR file:
```
LiAs2Pb
1.0
3.773 0.000 0.000
0.000 3.773 0.000
0.000 0.000 5.959
Pb As Li
1 2 1
Direct
0.500 0.500 0.500 Pb
0.000 0.000 0.800 As
0.000 0.000 0.200 As
0.500 0.500 0.000 Li
```

=====

The following is a DFT calculation (GGA-PBEsol) of an optimized crystal structure of Li2As2Pd.

* ΔH_f (0 K): -0.58 eV/atom
* symmetry: P4/mbm

POSCAR file:
```
Li2As2Pd
1.0
4.131 0.000 0.000
0.000 6.327 0.000
0.000 0.000 6.327
As Pd Li
4 2 4
Direct
0.000 0.362 0.862 As
0.000 0.862 0.638 As
0.000 0.638 0.138 As
0.000 0.138 0.362 As
0.000 0.000 0.000 Pd
0.000 0.500 0.500 Pd
0.500 0.168 0.668 Li
0.500 0.668 0.832 Li
0.500 0.832 0.332 Li
0.500 0.332 0.168 Li
```

=====

The following is a DFT calculation (GGA-PBEsol) of an optimized crystal structure of Li2AsPt.

* ΔH_f (0 K): -0.58 eV/atom
* symmetry: I4/mmm

POSCAR file:
```
Li2AsPt
1.0
3.722 0.000 0.000
0.000 3.722 0.000
-1.861 -1.861 3.984
As Pt Li
1 1 2
Direct
0.500 0.500 0.000 As
0.000 0.000 0.000 Pt
0.750 0.250 0.500 Li
0.250 0.750 0.500 Li
```

=====

The following is a DFT calculation (GGA-PBEsol) of an optimized crystal structure of Li2AsPt.

* ΔH_f (0 K): -0.56 eV/atom
* symmetry: Pmmm

POSCAR file:
```
Li2AsPt
1.0
2.768 0.000 0.000
0.000 3.894 0.000
0.000 0.000 5.161
As Pt Li
1 1 2
Direct
0.500 0.500 0.500 As
0.500 0.500 0.000 Pt
0.000 0.000 0.753 Li
0.000 0.000 0.247 Li
```

=====

The following is a DFT calculation (GGA-PBEsol) of an optimized crystal structure of Li2AsPt.

* ΔH_f (0 K): -0.54 eV/atom
* symmetry: Pmm2

POSCAR file:
```
Li2AsPt
1.0
-2.788 0.154 0.108
0.119 -0.852 4.287
0.283 4.582 0.903
As Pt Li
1 1 2
Direct
0.375 0.500 0.751 As
0.375 0.000 0.493 Pt
0.874 0.000 0.980 Li
0.876 0.500 0.277 Li
```

=====

The following is a DFT calculation (GGA-PBEsol) of an optimized crystal structure of LiAsPt.